_Request_
Count the lines further down that contain the word "in" and give the number alone.
_Data_
-- begin --
Here is 9 unconnected molecules or ions with the total composition C39H82F24N7P4 in a non-equilibrium geometry from OMol25. Energies are from ωB97M-V/def2-TZVPD.

Positions of all 156 atoms, in Å:
C -0.4911 5.4012 2.5739
C -0.4961 5.9224 3.9869
N -0.0185 4.8490 4.9202
C 0.9856 3.9107 4.5837
C 0.9170 2.8581 5.4722
N -0.2135 3.1828 6.2498
C -0.7193 4.3563 5.9010
C -0.7052 2.5074 7.4644
H -0.6511 6.2046 1.8445
H -1.2199 4.6487 2.4515
H 0.5212 5.0186 2.2726
H -1.5008 6.2178 4.3770
H 0.1444 6.7870 4.1367
H 1.6885 4.0799 3.7734
H 1.4634 1.9212 5.5064
H -1.5191 4.8148 6.4267
H -0.7157 1.4950 7.1844
H -1.7206 2.8705 7.6737
H -0.0076 2.7428 8.2672
C -5.7474 2.0167 0.1344
C -5.1815 2.5037 1.4284
N -4.9649 1.4227 2.2848
C -5.7669 0.3243 2.5030
C -5.2105 -0.3975 3.4735
N -4.0307 0.1638 3.8477
C -3.8969 1.3022 3.1242
C -3.2773 -0.1770 5.0623
H -5.6572 2.9086 -0.5968
H -6.8096 1.7543 0.2088
H -5.1390 1.1886 -0.2604
H -5.8398 3.1578 1.9280
H -4.2174 3.0272 1.2978
H -6.6677 0.1906 1.9468
H -5.5245 -1.3568 3.8026
H -3.0858 2.0004 3.3129
H -4.0266 -0.6827 5.6393
H -2.9624 0.7222 5.6435
H -2.4392 -0.8869 4.8527
C 4.4991 3.2629 1.4837
C 3.5690 2.0638 1.8877
C 3.9030 0.7207 1.2453
C 2.9019 -0.4056 1.5101
N 3.0155 -1.6172 0.6153
C 2.0119 -2.6509 1.1059
C 2.4634 -3.9698 0.5457
C 4.0000 -3.8328 0.7432
C 4.3215 -2.3542 0.8811
C 2.7345 -1.2864 -0.8762
H 5.5044 2.9483 1.6691
H 4.3224 4.1008 2.0994
H 4.3628 3.5410 0.4454
H 2.4988 2.2538 1.5853
H 3.6813 1.9662 3.0079
H 4.9388 0.4525 1.4870
H 3.8680 1.0012 0.1790
H 1.9212 -0.0057 1.2901
H 2.9401 -0.7012 2.5668
H 1.0441 -2.1761 0.8853
H 2.0734 -2.8024 2.2169
H 2.2273 -4.1765 -0.5129
H 2.0137 -4.7561 1.1226
H 4.4466 -4.2581 -0.1484
H 4.2827 -4.4387 1.6194
H 5.1707 -2.0039 0.2243
H 4.5632 -2.0850 1.9231
H 3.6433 -0.9197 -1.2439
H 2.1027 -0.4216 -0.8673
H 2.4414 -2.1728 -1.4219
C -3.1311 -1.4017 -5.2098
C -2.5048 -0.9980 -3.8725
C -1.7027 -2.0003 -3.1858
C -2.6323 -2.7659 -2.2129
N -2.0872 -3.9262 -1.4160
C -3.2167 -4.4567 -0.5034
C -2.4080 -5.2215 0.5940
C -1.0205 -4.6037 0.5416
C -0.9181 -3.5730 -0.5474
C -1.6944 -5.0917 -2.3236
H -2.6465 -0.9322 -6.1177
H -4.1513 -1.1898 -5.1965
H -3.1514 -2.4913 -5.2589
H -3.2406 -0.6314 -3.1359
H -1.8882 -0.1758 -4.1284
H -0.9578 -1.6719 -2.4876
H -1.2173 -2.7148 -3.8833
H -3.5273 -3.1671 -2.7494
H -2.9903 -2.0314 -1.5543
H -3.9342 -5.1137 -1.0805
H -3.7389 -3.5865 -0.0952
H -2.3811 -6.3196 0.4690
H -2.8442 -4.9880 1.5291
H -0.3129 -5.4171 0.3585
H -0.7297 -4.2815 1.5627
H -0.0468 -3.7412 -1.1269
H -1.0206 -2.5415 -0.1754
H -1.1606 -4.6630 -3.1646
H -2.5134 -5.5703 -2.7697
H -1.0261 -5.6596 -1.7776
C 1.4446 2.8128 -2.8539
C 0.3327 2.1354 -3.6540
C 0.9892 0.9395 -4.4413
C 1.7273 1.5709 -5.6050
N 2.7975 0.6031 -6.2253
C 3.6095 -0.0190 -5.0641
C 4.9548 -0.2585 -5.7463
C 4.8668 0.2690 -7.1907
C 3.7995 1.3269 -7.0957
C 2.0145 -0.5636 -6.9100
H 1.2565 3.8429 -2.5445
H 2.3829 2.8463 -3.5205
H 1.6358 2.1608 -1.9445
H -0.0772 2.7848 -4.3694
H -0.4375 1.8214 -2.9913
H 0.1855 0.3141 -4.8135
H 1.6559 0.3232 -3.8273
H 2.3507 2.4641 -5.3027
H 1.0683 1.8871 -6.4414
H 3.2138 -0.9410 -4.6377
H 3.6673 0.6333 -4.1791
H 5.1542 -1.3112 -5.8073
H 5.7253 0.2409 -5.1565
H 4.4709 -0.5528 -7.8452
H 5.8249 0.6267 -7.5581
H 3.4076 1.6077 -8.0855
H 4.1413 2.1649 -6.4666
H 1.5398 -0.2204 -7.8066
H 1.2351 -0.8927 -6.2015
H 2.8275 -1.3089 -7.0768
P 0.7380 -1.5230 4.9981
F 1.7082 -1.9530 6.1692
F 2.0558 -0.7594 4.2928
F 1.2346 -2.8574 4.2242
F -0.2530 -1.1109 3.7783
F -0.4474 -2.2360 5.7428
F 0.3796 -0.0492 5.7000
P -4.3232 3.7960 6.0665
F -3.5174 4.7848 7.1525
F -3.0125 2.7139 5.9613
F -4.9389 3.0623 7.3273
F -5.1636 2.7647 5.0905
F -5.5978 4.7740 6.0127
F -3.6831 4.5386 4.7733
P 2.1327 -3.4849 -4.2100
F 1.3481 -3.8465 -2.7952
F 3.5221 -2.9588 -3.4366
F 2.6093 -5.0091 -4.3038
F 2.8162 -3.0815 -5.5933
F 0.7080 -3.7265 -5.0150
F 1.4980 -1.9412 -3.9802
P -1.3670 1.1196 0.0359
F -0.9590 1.5096 1.5814
F -2.1363 -0.2206 0.6549
F -2.7275 1.9963 0.1467
F -1.8165 0.6113 -1.4182
F -0.5344 2.3535 -0.5688
-- stop --
_Solution_
2